This demo is part of a Search webinar.
The webinar recording and slides are available at
- Apache Solr + Lucidworks Connector Document Search
- Apache Solr provides a REST-like interface for searching indexed data.
- The search syntax follows the pattern of 'field:search query'. Those fields correspond to the schema defined in the Apache Solr Core.
- Lucidworks provides a connector allowing users to index multi-structured document data such as PDF, Docx, VSD, and XLSX.
- The sample documents used this demo are the PDFs from but instructions have been provided to allow users to search their own.
- Authors: Paul Codding, Joseph Niemiec, Piotr Pruski. Automation of setup via Ambari services and views: Ali Bajwa
These setup steps are only needed first time
- Download HDP 2.2 sandbox VM image (Sandbox_HDP_2.2_VMware.ova) from Hortonworks website
- Import Sandbox_HDP_2.2_VMware.ova into VMWare and configure its memory size to be at least 8GB RAM
- Find the IP address of the VM and add an entry into your machines hosts file e.g. sandbox
- Connect to the VM via SSH (password hadoop)
- Pull latest code/sample documents and setup Solr and 'Doc Crawler' Ambari stacks and 'Doc Crawler' View
cd /root
git clone
After script completes, login to Ambari ( and add the Solr service via from the 'Actions' dropdown menu in the bottom left of the Ambari dashboard:
Next, add the "Document crawler" service the same way
This will install and start the Document Crawler
Tail the log file to get detailed status. When you see
Binding to /
, then the app is up
- - -
(1)
# ZnSeBr2, relaxed, DFT PBE
data_ZnSeBr2
_cell_length_a 3.848
_cell_length_b 3.848
_cell_length_c 25.369
_cell_angle_alpha 90.00
_cell_angle_beta 90.00
_cell_angle_gamma 120.00
_space_group_name_H-M_alt 'P 1'
_space_group_IT_number 1
loop_
_space_group_symop_operation_xyz
'x,y,z'
loop_
_atom_site_label
_atom_site_fract_x
_atom_site_fract_y
_atom_site_fract_z
Zn1 0.000 0.000 0.000
Zn2 0.333 0.667 0.667
Zn3 0.667 0.333 0.333
Se1 0.000 0.000 0.278
Se2 0.333 0.667 0.945
Se3 0.667 0.333 0.612
Br1 0.000 0.000 0.531
Br2 0.000 0.000 0.727
Br3 0.333 0.667 0.198
Br4 0.333 0.667 0.393
Br5 0.667 0.333 0.060
Br6 0.667 0.333 0.864
# Magnetization: 4.99 Bohr magnetons per cell
# Formation energy without anion corrections: -38 kJ/mol of formula units

=====

(2)
# PrH8Rh2, relaxed, DFT PBE
data_PrH8Rh2
_cell_length_a 5.965
_cell_length_b 5.965
_cell_length_c 5.965
_cell_angle_alpha 136.53
_cell_angle_beta 136.53
_cell_angle_gamma 63.16
_space_group_name_H-M_alt 'P 1'
_space_group_IT_number 1
loop_
_space_group_symop_operation_xyz
'x,y,z'
loop_
_atom_site_label
_atom_site_fract_x
_atom_site_fract_y
_atom_site_fract_z
Pr1 0.000 0.000 0.000
H1 0.117 0.117 0.556
H2 0.117 0.561 0.000
H3 0.439 0.439 0.556
H4 0.439 0.883 0.000
H5 0.561 0.117 0.000
H6 0.561 0.561 0.444
H7 0.883 0.439 0.000
H8 0.883 0.883 0.444
Rh1 0.250 0.750 0.500
Rh2 0.750 0.250 0.500
# Magnetization: 0.00 Bohr magnetons per cell
# Calculated total energy: -4.355 eV per atom

=====

(3)
# Co2SeBr, relaxed, DFT PBE
data_Co2SeBr
_cell_length_a 3.411
_cell_length_b 3.269
_cell_length_c 6.364
_cell_angle_alpha 90.00
_cell_angle_beta 90.07
_cell_angle_gamma 90.00
_space_group_name_H-M_alt 'P 1'
_space_group_IT_number 1
loop_
_space_group_symop_operation_xyz
'x,y,z'
loop_
_atom_site_label
_atom_site_fract_x
_atom_site_fract_y
_atom_site_fract_z
Co1 0.000 0.000 0.177
Co2 0.000 0.000 0.823
Se1 0.500 0.500 0.000
Br1 0.000 0.500 0.500
# Magnetization: 3.61 Bohr magnetons per cell
# Formation energy without anion corrections: 102 kJ/mol of formula units

=====

(4)
# Zr2AlAu, relaxed, DFT PBE
data_Zr2AlAu
_cell_length_a 3.304
_cell_length_b 3.304
_cell_length_c 26.777
_cell_angle_alpha 90.00
_cell_angle_beta 90.00
_cell_angle_gamma 120.00
_space_group_name_H-M_alt 'P 1'
_space_group_IT_number 1
loop_
_space_group_symop_operation_xyz
'x,y,z'
loop_
_atom_site_label
_atom_site_fract_x
_atom_site_fract_y
_atom_site_fract_z
Zr1 0.000 0.000 0.000
Zr2 0.000 0.000 0.243
Zr3 0.333 0.667 0.667
Zr4 0.333 0.667 0.910
Zr5 0.667 0.333 0.333
Zr6 0.667 0.333 0.576
Al1 0.000 0.000 0.756
Al2 0.333 0.667 0.422
Al3 0.667 0.333 0.089
Au1 0.000 0.000 0.492
Au2 0.333 0.667 0.159
Au3 0.667 0.333 0.825
# Magnetization: 0.00 Bohr magnetons per cell
# Formation energy from the elements: -0.1891 eV/atom

=====

(5)
# CdMoSe4, relaxed, DFT PBE
data_CdMoSe4
_cell_length_a 5.748
_cell_length_b 5.748
_cell_length_c 5.748
_cell_angle_alpha 60.00
_cell_angle_beta 60.00
_cell_angle_gamma 60.00
_space_group_name_H-M_alt 'P 1'
- - -
tail -f /var/log/doc-crawler.log
Once the service is up, you can access the demo from within Ambari via the "Document Crawler" view or by opening
You can also access Solr webapp at the url below and try some queries.
- Notice that the metadata of each document appears in the result of the query and that the "body_s" field contains the entire document
- You can also run the same query in the browser or via programatic HTTP request. Try changing the output format by altering the wt param in the url e.g. &wt=json or &wt=xml
These materials data were left in the article by mistake >
- - -
{"formula": "CoRuPt2", "functional": "meta-GGA SCAN", "state": "single point on PBEsol structure", "m_tot_mub_per_cell": 2.10, "formation_energy_ev_per_atom": 0.02, "polymorph_energy_mev_per_atom": 102, "total_energy_ev_per_atom": -48.1092, "dos_ef_per_ev_cell": 3.8, "cell": [[-2.493, 0.839, 0.502], [-0.759, -0.792, -2.444], [-1.720, -6.741, 2.719]], "species": ["Co", "Pt", "Pt", "Ru"], "fractional_positions": [[0.500, 0.500, 0.739], [0.000, 0.000, 0.980], [0.500, 0.500, 0.261], [0.000, 0.000, 0.521]]}
- - -
Back to the article >
- To see code snippets of how the javascript calls are made to query Solr, refer to:
- Once the demo is setup the first time, to restart it (e.g. after VM reboot), simply start the "Document Crawler" service from Ambari and open the "Document Crawler" view
- After the Document Crawler is working, you can FTP your own document zip and run below to clear the HDFS dir and create new index using the new zip
/bin/rm -rf ~/search-demo/search-docs/*
unzip /path/to/my/ -d ~/search-demo/search-docs/
~/search-demo/ clean
Now go back to the Document Crawler view and run some queries
- Alternatively, you can create an HDFS mount on your Mac and drag/drop the documents directly to /user/solr/data/rfi_raw dir in HDFS. In this scenario, you would run the script without the 'clean' argument to just run the mapreduce job without cleaning HDFS
Now go back to the Document Crawler view and run some queries
Create a Banana dashboard webapp. Banana should be accessible at the below, showing the default starting page
As an example, you can refer to the Twitter Banana dashboard here
- In case you need to remove the Solr/Document Crawler stacks from Ambari in the future, run below and then restart Ambari:
curl -u admin:admin -i -H 'X-Requested-By: ambari' -X DELETE
curl -u admin:admin -i -H 'X-Requested-By: ambari' -X DELETE